### Request
Duplicate the rows underneath exactly.

### Material
~~~
Entry 1:
# HfMgCuSb (PBE-GGA, relaxed)
data_HfMgCuSb
_cell_length_a 4.826
_cell_length_b 4.826
_cell_length_c 4.826
_cell_angle_alpha 60.00
_cell_angle_beta 60.00
_cell_angle_gamma 60.00
_symmetry_space_group_name_H-M 'P 1'
_symmetry_Int_Tables_number 1
_symmetry_space_group_name_Hall 'P 1'
loop_
_atom_site_label
_atom_site_type_symbol
_atom_site_fract_x
_atom_site_fract_y
_atom_site_fract_z
Hf1 Hf 0.000 0.000 0.000
Mg1 Mg 0.250 0.250 0.250
Cu1 Cu 0.750 0.750 0.750
Sb1 Sb 0.500 0.500 0.500
# - space group = F-43m, No. 216
# - excess energy over the best structure of this formula in the dataset (eV per atom) = 0.076
# - total magnetization (μB per cell) = 0.0

Entry 2:
# HfMgCuSn (PBE-GGA, relaxed)
data_HfMgCuSn
_cell_length_a 4.786
_cell_length_b 4.786
_cell_length_c 4.786
_cell_angle_alpha 60.00
_cell_angle_beta 60.00
_cell_angle_gamma 60.00
_symmetry_space_group_name_H-M 'P 1'
_symmetry_Int_Tables_number 1
_symmetry_space_group_name_Hall 'P 1'
loop_
_atom_site_label
_atom_site_type_symbol
_atom_site_fract_x
_atom_site_fract_y
_atom_site_fract_z
Hf1 Hf 0.000 0.000 0.000
Mg1 Mg 0.750 0.750 0.750
Cu1 Cu 0.500 0.500 0.500
Sn1 Sn 0.250 0.250 0.250
# - space group = F-43m, No. 216
# - excess energy over the best structure of this formula in the dataset (eV per atom) = 0.000
# - total magnetization (μB per cell) = 0.0

Entry 3:
# HfMgCuSn (PBE-GGA, relaxed)
data_HfMgCuSn
_cell_length_a 4.776
_cell_length_b 4.776
_cell_length_c 4.776
_cell_angle_alpha 60.00
_cell_angle_beta 60.00
_cell_angle_gamma 60.00
_symmetry_space_group_name_H-M 'P 1'
_symmetry_Int_Tables_number 1
_symmetry_space_group_name_Hall 'P 1'
loop_
_atom_site_label
_atom_site_type_symbol
_atom_site_fract_x
_atom_site_fract_y
_atom_site_fract_z
Hf1 Hf 0.000 0.000 0.000
Mg1 Mg 0.250 0.250 0.250
Cu1 Cu 0.750 0.750 0.750
Sn1 Sn 0.500 0.500 0.500
# - space group = F-43m, No. 216
# - excess energy over the best structure of this formula in the dataset (eV per atom) = 0.023
# - total magnetization (μB per cell) = 0.0

Entry 4:
# HfMgTlCu (PBE-GGA, relaxed)
data_HfMgTlCu
_cell_length_a 4.817
_cell_length_b 4.817
_cell_length_c 4.817
_cell_angle_alpha 60.00
_cell_angle_beta 60.00
_cell_angle_gamma 60.00
_symmetry_space_group_name_H-M 'P 1'
_symmetry_Int_Tables_number 1
_symmetry_space_group_name_Hall 'P 1'
loop_
_atom_site_label
_atom_site_type_symbol
_atom_site_fract_x
_atom_site_fract_y
_atom_site_fract_z
Hf1 Hf 0.000 0.000 0.000
Mg1 Mg 0.750 0.750 0.750
Tl1 Tl 0.250 0.250 0.250
Cu1 Cu 0.500 0.500 0.500
# - space group = F-43m, No. 216
# - excess energy over the best structure of this formula in the dataset (eV per atom) = 0.028
# - total magnetization (μB per cell) = 0.0

----------

Density functional theory data (PBE+U) for a relaxed Ca2TmMnO4 crystal.

a = 5.7613 Å, b = 3.3532 Å, c = 5.8256 Å
α = 90.00°, β = 109.52°, γ = 90.00°
Closest atoms and distances in Å follow each position.
Element x y z (fractional)
Ca: 0.0000 0.0000 0.0000  6 O 2.39-2.41
Ca: 0.5000 0.5000 0.0000  6 O 2.43-2.44
Tm: 0.0000 0.5000 0.5000  6 O 2.30-2.31
Mn: 0.5000 0.0000 0.5000  6 O 2.33-2.35
O: 0.2399 0.0000 0.7360  2 Tm 2.31, 1 Mn 2.35, 3 Ca 2.39-2.43
O: 0.2510 0.5000 0.2658  1 Tm 2.30, 2 Mn 2.33, 3 Ca 2.41-2.44
O: 0.7490 0.5000 0.7342  1 Tm 2.30, 2 Mn 2.33, 3 Ca 2.41-2.44
O: 0.7601 0.0000 0.2640  2 Tm 2.31, 1 Mn 2.35, 3 Ca 2.39-2.43

Total moment (μB/cell): 4.6
Raw total energy (Ry/atom): -0.5178

----------

# 1
Ac3DyPb2C: relaxed, PBE.

```
data_Ac3DyPb2C
_chemical_formula_sum 'Ac6 Dy2 Pb4 C2'
_symmetry_space_group_name_H-M 'I m m m'
_symmetry_Int_Tables_number 71
_symmetry_space_group_name_Hall '-I 2 2'
_cell_length_a 5.022
_cell_length_b 5.299
_cell_length_c 17.642
_cell_angle_alpha 90.00
_cell_angle_beta 90.00
_cell_angle_gamma 90.00
loop_
_atom_site_label
_atom_site_fract_x
_atom_site_fract_y
_atom_site_fract_z
Ac1 0.000 0.000 0.000
Ac2 0.000 0.500 0.162
Dy1 0.000 0.000 0.500
Pb1 0.000 0.500 0.362
C1 0.000 0.500 0.000
```

***

# 2
Ac2Dy2Sn2C: relaxed, PBE.

```
data_Ac2Dy2Sn2C
~~~

### Completed
Entry 1:
# HfMgCuSb (PBE-GGA, relaxed)
data_HfMgCuSb
_cell_length_a 4.826
_cell_length_b 4.826
_cell_length_c 4.826
_cell_angle_alpha 60.00
_cell_angle_beta 60.00
_cell_angle_gamma 60.00
_symmetry_space_group_name_H-M 'P 1'
_symmetry_Int_Tables_number 1
_symmetry_space_group_name_Hall 'P 1'
loop_
_atom_site_label
_atom_site_type_symbol
_atom_site_fract_x
_atom_site_fract_y
_atom_site_fract_z
Hf1 Hf 0.000 0.000 0.000
Mg1 Mg 0.250 0.250 0.250
Cu1 Cu 0.750 0.750 0.750
Sb1 Sb 0.500 0.500 0.500
# - space group = F-43m, No. 216
# - excess energy over the best structure of this formula in the dataset (eV per atom) = 0.076
# - total magnetization (μB per cell) = 0.0

Entry 2:
# HfMgCuSn (PBE-GGA, relaxed)
data_HfMgCuSn
_cell_length_a 4.786
_cell_length_b 4.786
_cell_length_c 4.786
_cell_angle_alpha 60.00
_cell_angle_beta 60.00
_cell_angle_gamma 60.00
_symmetry_space_group_name_H-M 'P 1'
_symmetry_Int_Tables_number 1
_symmetry_space_group_name_Hall 'P 1'
loop_
_atom_site_label
_atom_site_type_symbol
_atom_site_fract_x
_atom_site_fract_y
_atom_site_fract_z
Hf1 Hf 0.000 0.000 0.000
Mg1 Mg 0.750 0.750 0.750
Cu1 Cu 0.500 0.500 0.500
Sn1 Sn 0.250 0.250 0.250
# - space group = F-43m, No. 216
# - excess energy over the best structure of this formula in the dataset (eV per atom) = 0.000
# - total magnetization (μB per cell) = 0.0

Entry 3:
# HfMgCuSn (PBE-GGA, relaxed)
data_HfMgCuSn
_cell_length_a 4.776
_cell_length_b 4.776
_cell_length_c 4.776
_cell_angle_alpha 60.00
_cell_angle_beta 60.00
_cell_angle_gamma 60.00
_symmetry_space_group_name_H-M 'P 1'
_symmetry_Int_Tables_number 1
_symmetry_space_group_name_Hall 'P 1'
loop_
_atom_site_label
_atom_site_type_symbol
_atom_site_fract_x
_atom_site_fract_y
_atom_site_fract_z
Hf1 Hf 0.000 0.000 0.000
Mg1 Mg 0.250 0.250 0.250
Cu1 Cu 0.750 0.750 0.750
Sn1 Sn 0.500 0.500 0.500
# - space group = F-43m, No. 216
# - excess energy over the best structure of this formula in the dataset (eV per atom) = 0.023
# - total magnetization (μB per cell) = 0.0

Entry 4:
# HfMgTlCu (PBE-GGA, relaxed)
data_HfMgTlCu
_cell_length_a 4.817
_cell_length_b 4.817
_cell_length_c 4.817
_cell_angle_alpha 60.00
_cell_angle_beta 60.00
_cell_angle_gamma 60.00
_symmetry_space_group_name_H-M 'P 1'
_symmetry_Int_Tables_number 1
_symmetry_space_group_name_Hall 'P 1'
loop_
_atom_site_label
_atom_site_type_symbol
_atom_site_fract_x
_atom_site_fract_y
_atom_site_fract_z
Hf1 Hf 0.000 0.000 0.000
Mg1 Mg 0.750 0.750 0.750
Tl1 Tl 0.250 0.250 0.250
Cu1 Cu 0.500 0.500 0.500
# - space group = F-43m, No. 216
# - excess energy over the best structure of this formula in the dataset (eV per atom) = 0.028
# - total magnetization (μB per cell) = 0.0

----------

Density functional theory data (PBE+U) for a relaxed Ca2TmMnO4 crystal.

a = 5.7613 Å, b = 3.3532 Å, c = 5.8256 Å
α = 90.00°, β = 109.52°, γ = 90.00°
Closest atoms and distances in Å follow each position.
Element x y z (fractional)
Ca: 0.0000 0.0000 0.0000  6 O 2.39-2.41
Ca: 0.5000 0.5000 0.0000  6 O 2.43-2.44
Tm: 0.0000 0.5000 0.5000  6 O 2.30-2.31
Mn: 0.5000 0.0000 0.5000  6 O 2.33-2.35
O: 0.2399 0.0000 0.7360  2 Tm 2.31, 1 Mn 2.35, 3 Ca 2.39-2.43
O: 0.2510 0.5000 0.2658  1 Tm 2.30, 2 Mn 2.33, 3 Ca 2.41-2.44
O: 0.7490 0.5000 0.7342  1 Tm 2.30, 2 Mn 2.33, 3 Ca 2.41-2.44
O: 0.7601 0.0000 0.2640  2 Tm 2.31, 1 Mn 2.35, 3 Ca 2.39-2.43

Total moment (μB/cell): 4.6
Raw total energy (Ry/atom): -0.5178

----------

# 1
Ac3DyPb2C: relaxed, PBE.

```
data_Ac3DyPb2C
_chemical_formula_sum 'Ac6 Dy2 Pb4 C2'
_symmetry_space_group_name_H-M 'I m m m'
_symmetry_Int_Tables_number 71
_symmetry_space_group_name_Hall '-I 2 2'
_cell_length_a 5.022
_cell_length_b 5.299
_cell_length_c 17.642
_cell_angle_alpha 90.00
_cell_angle_beta 90.00
_cell_angle_gamma 90.00
loop_
_atom_site_label
_atom_site_fract_x
_atom_site_fract_y
_atom_site_fract_z
Ac1 0.000 0.000 0.000
Ac2 0.000 0.500 0.162
Dy1 0.000 0.000 0.500
Pb1 0.000 0.500 0.362
C1 0.000 0.500 0.000
```

***

# 2
Ac2Dy2Sn2C: relaxed, PBE.

```
data_Ac2Dy2Sn2C